=====
The following is a quantum chemistry calculation of an isolated molecule of C7H8N2O3 at a distorted geometry, from the Open Molecules 2025 dataset.

The geometry in ORCA input format:
```
! RIJCOSX wB97M-V def2-TZVPD def2/J DEFGRID3
* xyz 0 1
N -1.789 -3.025 -0.830
C -0.880 -2.422 -0.488
C 0.368 -1.881 -0.138
C -0.008 -0.050 -0.347
C -1.279 0.408 0.201
C -1.058 1.906 0.687
C 0.489 2.033 0.921
C 1.066 0.780 0.312
O 2.213 0.463 0.117
N 1.461 -2.076 -1.182
O 2.460 -2.665 -0.886
O 1.249 -1.584 -2.267
H 0.579 -2.031 0.862
H -0.033 0.105 -1.471
H -1.728 -0.086 1.127
H -2.106 0.204 -0.526
H -1.419 2.190 1.706
H -1.267 2.620 -0.142
H 0.900 2.152 1.848
H 0.780 2.959 0.496
*
```

Summary:
Largest force on an atom: 6.01 eV/Å
M: 168.15 g/mol
E_HOMO: -0.3754 hartree
E_LUMO: -0.0148 Ha
Structure (SMILES): N#C[C@H]([C@H]1CCCC1=O)[N+](=O)[O-]
ΔE to the lowest compared entry with this formula, charge and spin: 5.796 eV

Mulliken population analysis, charges in e, atoms 1 to 5: number 1, N, carries -0.45; number 2, C, carries 0.28; number 3, C, carries -0.21; number 4, C, carries 0.08; number 5, C, carries -1.05

The following is a quantum chemistry calculation of a 2-piece molecular cluster, C7H8N2O4S overall at a distorted geometry, from the Open Molecules 2025 dataset.

The geometry in ORCA input format:
```
! RIJCOSX wB97M-V def2-TZVPD def2/J DEFGRID3
* xyz 0 1
C 1.071 -1.992 0.140
C 2.198 -1.242 0.303
C 0.956 0.649 -0.561
C -0.179 -1.472 -0.343
C 2.127 0.151 0.003
C -0.257 -0.104 -0.651
C -1.290 -2.473 -0.099
N -3.223 2.346 1.541
N 3.256 1.023 0.124
O 4.334 0.573 0.434
O 3.042 2.181 -0.099
O -2.998 3.252 0.749
O -1.406 2.128 -1.386
S -1.792 0.570 -1.035
H 1.249 -3.057 0.508
H 3.201 -1.489 0.600
H 0.777 1.709 -0.852
H -0.987 -3.426 -0.184
H -1.738 -2.158 0.857
H -2.046 -2.257 -0.878
H -2.119 2.608 -1.012
H -4.174 2.482 1.839
*
```

Summary:
Largest force on an atom: 5.90 eV/Å
M: 216.22 g/mol
E_HOMO: -0.3051 hartree
E_LUMO: -0.0454 Ha
ΔE to the lowest compared entry with this formula, charge and spin: 4.106 eV

Mulliken population analysis, charges in e, atoms 1 to 5: number 1, C, carries -0.55; number 2, C, carries -0.74; number 3, C, carries -0.18; number 4, C, carries 0.58; number 5, C, carries -0.15

The following is a quantum chemistry calculation of a 2-piece molecular cluster, C7H8N2O4S overall at a distorted geometry, from the Open Molecules 2025 dataset.

The geometry in ORCA input format:
```
! RIJCOSX wB97M-V def2-TZVPD def2/J DEFGRID3
* xyz 0 1
C -2.182 -0.609 1.857
C -0.989 -0.957 2.468
C -2.104 0.224 0.780
C 0.192 -0.502 1.888
C -0.438 -2.120 -1.715
C -0.918 0.749 0.206
C 1.412 0.408 0.150
N 0.461 -1.802 -2.438
N 0.272 0.345 0.819
O 0.703 0.933 -2.268
O -1.378 -2.383 -1.055
O 1.174 2.844 -0.998
O 2.997 1.313 -1.653
S 1.462 1.462 -1.213
H -3.141 -0.675 2.330
H -0.938 -1.498 3.488
H -2.993 0.687 0.239
H 1.036 -0.780 2.410
H -0.796 1.305 -0.665
H 2.387 0.567 0.720
H 0.797 -0.894 -2.793
H 2.984 1.380 -2.557
*
```

Summary:
Largest force on an atom: 5.57 eV/Å
M: 216.22 g/mol
E_HOMO: -0.2908 hartree
E_LUMO: -0.0127 Ha
ΔE to the lowest compared entry with this formula, charge and spin: 0.430 eV

Mulliken population analysis, charges in e, atoms 1 to 5: number 1, C, carries -0.45; number 2, C, carries -0.41; number 3, C, carries -0.31; number 4, C, carries -0.19; number 5, C, carries 0.66

Number 1: orbital gap 0.3607 hartree. Number 2: orbital gap 0.2597 hartree. Number 3: orbital gap 0.2782 hartree.

* * * * *

39
Properties=species:S:1:pos:R:3:forces:R:3:nbo_charge:R:1 method="wB97M-V/def2-TZVPD" e_homo_ev=-9.1 smiles="CC(=O)O[C@@H](C(Cl)(Cl)Cl)P(=O)(Oc1ccccc1)Oc1ccccc1"
C -2.57521 -1.94863 1.65466 -2.10 -0.55 1.66 -0.730
C -2.36188 -1.21721 0.37003 -0.36 -1.01 -1.04 0.797
O -1.90065 -1.84307 -0.55319 -0.05 1.49 -0.22 -0.571
O -2.72189 0.15511 0.32097 1.40 -0.39 -1.59 -0.515
C -2.19803 0.81172 -0.93918 1.73 -0.27 1.35 -0.288
C -2.65650 2.28012 -1.18059 -0.25 0.69 0.51 -0.050
Cl -2.20118 3.43617 0.17979 -0.09 -1.01 -1.43 0.027
=====

What is needed: print the whole of the contents further above unchanged.

The following is a quantum chemistry calculation of an isolated molecule of C7H8N2O3 at a distorted geometry, from the Open Molecules 2025 dataset.

The geometry in ORCA input format:
```
! RIJCOSX wB97M-V def2-TZVPD def2/J DEFGRID3
* xyz 0 1
N -1.789 -3.025 -0.830
C -0.880 -2.422 -0.488
C 0.368 -1.881 -0.138
C -0.008 -0.050 -0.347
C -1.279 0.408 0.201
C -1.058 1.906 0.687
C 0.489 2.033 0.921
C 1.066 0.780 0.312
O 2.213 0.463 0.117
N 1.461 -2.076 -1.182
O 2.460 -2.665 -0.886
O 1.249 -1.584 -2.267
H 0.579 -2.031 0.862
H -0.033 0.105 -1.471
H -1.728 -0.086 1.127
H -2.106 0.204 -0.526
H -1.419 2.190 1.706
H -1.267 2.620 -0.142
H 0.900 2.152 1.848
H 0.780 2.959 0.496
*
```

Summary:
Largest force on an atom: 6.01 eV/Å
M: 168.15 g/mol
E_HOMO: -0.3754 hartree
E_LUMO: -0.0148 Ha
Structure (SMILES): N#C[C@H]([C@H]1CCCC1=O)[N+](=O)[O-]
ΔE to the lowest compared entry with this formula, charge and spin: 5.796 eV

Mulliken population analysis, charges in e, atoms 1 to 5: number 1, N, carries -0.45; number 2, C, carries 0.28; number 3, C, carries -0.21; number 4, C, carries 0.08; number 5, C, carries -1.05

The following is a quantum chemistry calculation of a 2-piece molecular cluster, C7H8N2O4S overall at a distorted geometry, from the Open Molecules 2025 dataset.

The geometry in ORCA input format:
```
! RIJCOSX wB97M-V def2-TZVPD def2/J DEFGRID3
* xyz 0 1
C 1.071 -1.992 0.140
C 2.198 -1.242 0.303
C 0.956 0.649 -0.561
C -0.179 -1.472 -0.343
C 2.127 0.151 0.003
C -0.257 -0.104 -0.651
C -1.290 -2.473 -0.099
N -3.223 2.346 1.541
N 3.256 1.023 0.124
O 4.334 0.573 0.434
O 3.042 2.181 -0.099
O -2.998 3.252 0.749
O -1.406 2.128 -1.386
S -1.792 0.570 -1.035
H 1.249 -3.057 0.508
H 3.201 -1.489 0.600
H 0.777 1.709 -0.852
H -0.987 -3.426 -0.184
H -1.738 -2.158 0.857
H -2.046 -2.257 -0.878
H -2.119 2.608 -1.012
H -4.174 2.482 1.839
*
```

Summary:
Largest force on an atom: 5.90 eV/Å
M: 216.22 g/mol
E_HOMO: -0.3051 hartree
E_LUMO: -0.0454 Ha
ΔE to the lowest compared entry with this formula, charge and spin: 4.106 eV

Mulliken population analysis, charges in e, atoms 1 to 5: number 1, C, carries -0.55; number 2, C, carries -0.74; number 3, C, carries -0.18; number 4, C, carries 0.58; number 5, C, carries -0.15

The following is a quantum chemistry calculation of a 2-piece molecular cluster, C7H8N2O4S overall at a distorted geometry, from the Open Molecules 2025 dataset.

The geometry in ORCA input format:
```
! RIJCOSX wB97M-V def2-TZVPD def2/J DEFGRID3
* xyz 0 1
C -2.182 -0.609 1.857
C -0.989 -0.957 2.468
C -2.104 0.224 0.780
C 0.192 -0.502 1.888
C -0.438 -2.120 -1.715
C -0.918 0.749 0.206
C 1.412 0.408 0.150
N 0.461 -1.802 -2.438
N 0.272 0.345 0.819
O 0.703 0.933 -2.268
O -1.378 -2.383 -1.055
O 1.174 2.844 -0.998
O 2.997 1.313 -1.653
S 1.462 1.462 -1.213
H -3.141 -0.675 2.330
H -0.938 -1.498 3.488
H -2.993 0.687 0.239
H 1.036 -0.780 2.410
H -0.796 1.305 -0.665
H 2.387 0.567 0.720
H 0.797 -0.894 -2.793
H 2.984 1.380 -2.557
*
```

Summary:
Largest force on an atom: 5.57 eV/Å
M: 216.22 g/mol
E_HOMO: -0.2908 hartree
E_LUMO: -0.0127 Ha
ΔE to the lowest compared entry with this formula, charge and spin: 0.430 eV

Mulliken population analysis, charges in e, atoms 1 to 5: number 1, C, carries -0.45; number 2, C, carries -0.41; number 3, C, carries -0.31; number 4, C, carries -0.19; number 5, C, carries 0.66

Number 1: orbital gap 0.3607 hartree. Number 2: orbital gap 0.2597 hartree. Number 3: orbital gap 0.2782 hartree.

* * * * *

39
Properties=species:S:1:pos:R:3:forces:R:3:nbo_charge:R:1 method="wB97M-V/def2-TZVPD" e_homo_ev=-9.1 smiles="CC(=O)O[C@@H](C(Cl)(Cl)Cl)P(=O)(Oc1ccccc1)Oc1ccccc1"
C -2.57521 -1.94863 1.65466 -2.10 -0.55 1.66 -0.730
C -2.36188 -1.21721 0.37003 -0.36 -1.01 -1.04 0.797
O -1.90065 -1.84307 -0.55319 -0.05 1.49 -0.22 -0.571
O -2.72189 0.15511 0.32097 1.40 -0.39 -1.59 -0.515
C -2.19803 0.81172 -0.93918 1.73 -0.27 1.35 -0.288
C -2.65650 2.28012 -1.18059 -0.25 0.69 0.51 -0.050
Cl -2.20118 3.43617 0.17979 -0.09 -1.01 -1.43 0.027